2021年8月19日首屆大統華「刀神」表演決賽在CL新店舉行。隨著「比賽開始!」的一聲令下,只見幾十磅重的原條豬扒和厚油覆蓋的牛仔骨,在兩位選手熟練和精準的刀功下,頃刻分解成不同部位漂亮的商品。最後,評委根據所用時間、成品的數量和質量、產品創意,評出了首屆比賽的刀神:他就是WS店肉部副主管Justin!當公司SOD Calvin Liao為其頒發獎狀、CEO Tina親手將用安格斯牛皮製成的圍裙給Justin穿上時,這位年輕的漢子顯得有些激動。Tina還在比賽簽名海報上寫下 “Feng & Justin, our best meat cutting artists! Beautiful knife skill only at T&T!” 對首屆表演賽的刀神給予了積極的鼓勵。
記得Justin剛進入大統華時,是一個無任何切肉經驗的「小白」,初期因為不熟悉各種刀功,導致效率和質量都達不到要求。經過營運部門專員Kit和部門主管Jim Jiang的細心指導與幫助,加之自己長期的練習揣摩,Justin逐漸掌握了各項技能,並得到了領導的認可。
(Warden 分店 - 肉食部 Cheng Shun Qi)
控制脾氣 端正行爲
P11 2020/2021 分店最佳員工榮譽榜
September 2021
The Master of Knife
The first knife skill competition took place at CL store on August 19th, 2021. As it began, 2 of the contestants are skillfully working and preparing on a pork tenderloin and beef short ribs to presentable merchandise. In the end, the decision of judges was based on time-consuming, the sellable and presentable quantity and quality of the merchandise, and creativity. The decision of the first Master of Knife has gone to Justin who’s the Assistant Department Head in Meat of WS store. The certificate was presented to Justin by SOD Calvin Liao. Meanwhile, CEO Tina has presented the apron to Justin that was made by Angus Beef skin. Justin has become very emotional and excited with its result. Tina has also signed and handwritten on the competition poster stating “Feng & Justin, our best meat cutting artists! Beautiful knife skill only at T&T!” It brings a tremendous amount of encouragement to our newly crowned Master of Knife.
When Justin first joined the meat department, he was zero experience in culinarily and knife skills which drastically affect his overall performance. After being trained and supported by Kit and Jim Jiang, and of course with his own practising. Justin has slowly adapted his new skills and is being approved by his superior.
Even after his recent achievement, Justin modestly speaking that there is always a better one out there. He needs to continue with his self-improvement to fulfil its constant changing market in demand and to perform at his best.
(Warden Store - Meat Department Cheng Shun Qi)
- - -
# Ce6MgTc2

A relaxed Ce6MgTc2 crystal (GGA-PBE, Alexandria via LeMat-Bulk).

The space group is C2/m (No. 12) and the conventional cell measures 10.188, 5.058 and 8.833 Å, with angles of 90.00, 97.32 and 90.00 degrees. The inequivalent atoms are Ce at (0.050, 0.000, 0.365), Ce at (0.109, 0.500, 0.674), Ce at (0.198, 0.500, 0.119), Mg at (0.000, 0.000, 0.000) and Tc at (0.229, 0.500, 0.385).

The formation energy comes out at -0.082 eV per atom.


# CeMgTc

A relaxed CeMgTc crystal (GGA-PBE, Alexandria via LeMat-Bulk).

The space group is P2_1/m (No. 11) and the conventional cell measures 5.045, 4.908 and 5.644 Å, with angles of 90.00, 101.36 and 90.00 degrees. The inequivalent atoms are Ce at (0.051, 0.250, 0.304), Mg at (0.473, 0.250, 0.856) and Tc at (0.367, 0.750, 0.600).

As for the energy relative to the lowest polymorph listed for this composition: 0.000 eV/atom. The formation energy comes out at -0.101 eV per atom.
- - -
Control your temper and correct your behaviour
A violent incident has happened in the store lately. It all started from an argument at work that each has their own opinion and is unwilling to give way to each other. Eventually, it’s been escalated to a violent incident. One side has made physical contact by pushing the other, although the other person has not fought back the provocative behaviour did not make it any better. Both parties have tried hiding the incident and are unwilling to cooperate with the company’s investigation. However, they were unaware that everything has been captured by CCTV. It could have been smoothly resolved if proper communication can be done. Due to its wrongful behaviour which leads to a serious impact on their employment for both parties.
Someone pasted data records at this point >
The following is a PBE calculation of an optimized crystal structure of NaLa2GaH, from the Alexandria database.

Summary:
E   -19.01 eV/cell
N(E_F)   3.673 states/eV per cell

Structure (POSCAR):
```
NaLa2GaH
1.0
5.084 0.000 0.000
0.000 5.084 0.000
0.000 0.000 4.492
Ga H La Na
1 1 2 1
Direct
0.500 0.500 0.500
0.000 0.000 0.000
0.000 0.500 0.000
0.500 0.000 0.000
0.000 0.000 0.500
```

---

The following is a PBE calculation of an optimized crystal structure of CaTeAs2, from the Alexandria database.

Summary:
E   -16.00 eV/cell
ΔE_f (raw)   -390 meV/atom
N(E_F)   2.757 states/eV per cell

Structure (POSCAR):
```
CaTeAs2
1.0
-1.262 2.836 1.670
-3.135 -1.580 0.314
2.485 -3.409 7.666
Te As Ca
1 2 1
Direct
0.500 0.500 0.706
0.500 0.500 0.222
0.000 0.000 0.106
0.000 0.000 0.467
```

---

The following is a PBE calculation of an optimized crystal structure of Y3Sc2, from the Alexandria database.

Summary:
E_form   344 meV/atom
E   -30.34 eV/cell
Relative energy among the computed polymorphs   1.596 eV per formula unit
N(E_F)   9.189 states/eV per cell

Structure (POSCAR):
```
Y3Sc2
1.0
2.677 -4.636 0.000
2.677 4.636 0.000
0.000 0.000 6.517
Sc Y
2 3
Direct
0.333 0.667 0.881
0.667 0.333 0.119
0.000 0.000 0.000
0.333 0.667 0.356
0.667 0.333 0.644
```

~~~~~

Version P
# LaTaSe | Alexandria via LeMat-Bulk | GGA-PBE | relaxed
# Total moment, μB per formula unit: 0.0
# Density of states at the Fermi level, states/eV/f.u.: 2.6
# Space group: F-43m (216)
data_LaTaSe
_chemical_formula_sum 'La4 Ta4 Se4'
_space_group_name_H-M_alt 'P 1'
_space_group_IT_number 1
_space_group_name_Hall 'P 1'
_cell_length_a 6.734
_cell_length_b 6.734
_cell_length_c 6.734
_cell_angle_alpha 90.00
_cell_angle_beta 90.00
_cell_angle_gamma 90.00
loop_
_atom_site_label
_atom_site_fract_x
_atom_site_fract_y
_atom_site_fract_z
La1 0.000 0.000 0.000
La2 0.000 0.500 0.500
La3 0.500 0.000 0.500
La4 0.500 0.500 0.000
Ta1 0.000 0.000 0.500
Ta2 0.000 0.500 0.000
Ta3 0.500 0.000 0.000
Ta4 0.500 0.500 0.500
Se1 0.250 0.250 0.750
Se2 0.250 0.750 0.250
Se3 0.750 0.250 0.250
Se4 0.750 0.750 0.750

Version Q
# LaTaSe | Alexandria via LeMat-Bulk | GGA-PBE | relaxed
# Total moment, μB per formula unit: 3.8
# Density of states at the Fermi level, states/eV/f.u.: 2.8
# Space group: F-43m (216)
data_LaTaSe
_chemical_formula_sum 'La4 Ta4 Se4'
_space_group_name_H-M_alt 'P 1'
_space_group_IT_number 1
_space_group_name_Hall 'P 1'
_cell_length_a 7.244
_cell_length_b 7.244
_cell_length_c 7.244
_cell_angle_alpha 90.00
_cell_angle_beta 90.00
_cell_angle_gamma 90.00
loop_
_atom_site_label
_atom_site_fract_x
_atom_site_fract_y
_atom_site_fract_z
La1 0.000 0.000 0.000
La2 0.000 0.500 0.500
La3 0.500 0.000 0.500
La4 0.500 0.500 0.000
Ta1 0.250 0.250 0.250
Ta2 0.250 0.750 0.750
Ta3 0.750 0.250 0.750
Ta4 0.750 0.750 0.250
Se1 0.250 0.250 0.750
Se2 0.250 0.750 0.250
Se3 0.750 0.250 0.250
Se4 0.750 0.750 0.750

Which structure is most stable? version P, by 713 meV per atom over the runner-up.

Version P
Our company has zero tolerance for violent behaviour (including but not limited to physically or verbally assault or any sort of threatening.) which has been clearly stated in our employee handbook. All employees must not fight or argue with either customers or employees. If the situation cannot be resolved, you must notify the Department Head immediately.
To provide a safe working environment for all employees and to be able to receive full support. We must enforce and eliminate any wrongful behaviour at the workplace such as violence, discrimination, and harassment. We would like to hold everyone accountable to prevent such behaviour to carry out at the workplace and to build a positive working environment for everyone.
(HR Department)